Quebec Fishing Reports
A Double Trip DayAugust 16, 2018
August 15th 2018
I had two trips scheduled today with the morning seeing Mila, Petra and Adam. Both Mila & Adam were with me last year and back again looking for more action. Adam wanted to just catch fish so we headed out to do a little trolling for pike & walleye.
With only a half day to produce, I decided to go where I knew the fish would be. Within a few minutes, the little guy was locked up and fighting a nice northern pike. For almost three hours he would be battling many more and loving every minute of it. Mila was just chilling, letting his grandson land everything but I wanted Adam’s mother to bring a few of them in herself. The next reel to fire turned into a double and she finally got to fight a fish too! With both mother & son locked up, I took this moment to snap a couple of pics. I always love bent rod photos!
Most of the morning was spent trolling up pike but a few keeper walleye were also brought to net. I wanted Mila to fish as well and eventually left this area to change it up and do some drop shotting. This way I knew he would have to fish!
We had run closer to where we launched and I wasted no time getting the lines wet. The winds were actually favorable for a change and with three lines in the water, I knew it was only a matter of time. I had been marking some fish but mostly smaller ones and several of the walleye confirmed it. They brought a few really small ones to the boat and I soon made another move. The next area did produce one bass and several more tiny eyes and another relocation was made once again.
With the winds picking up some I checked the radar and noticed a storm approaching. I hoped it would hold off before I had to run back, but it didn’t look good. A few minutes later, it didn’t really matter as I took Petra back anyway. She wasn’t feeling well in the waves and I wasn’t too far from the launch We dropped her off and headed back out for the remainder of the trip.
With less than an hour to go, we concentrated on one specific area and they boated several more small walleye. Mila did have a few nice smallies on, but unfortunately they threw the hooks when they took to the air. Time to go!
As soon as I arrived back at the ramp I could see the afternoon guys waiting for me. I quickly said goodbye to Mila and Adam knowing that they would be back again this Friday for more action. I was hoping on taking them for sturgeon, if the weather cooperated!
Brett and his son Jason were my guests for the afternoon and I only hoped the weather would hold off. A quick glimpse on the radar again, saw the storm moving south and barely clipping us along its path. I crossed my fingers as we headed out in pursuit of Jason’s first fish!
(Misplaced calculated crystals)
┌──
No. 1
A plane-wave DFT calculation with PBE was carried out for a relaxed Li6Ni2N3 crystal.

abc: 3.5233 6.4808 6.4808
angles: 120.20 90.00 90.00
Last column: nearest neighbours and their distance in Å.
Fractional positions:
Li 0.0000 0.0000 0.0000  3 N 2.13-2.33, 2 Li 2.34
Li 0.0000 0.2849 0.5365  2 N 2.05-2.14
Li 0.0000 0.5365 0.2849  2 N 2.05-2.14
Li 0.0000 0.6091 0.9326  3 N 2.01-2.10
Li 0.0000 0.9326 0.6091  3 N 2.01-2.10
Li 0.5000 0.6432 0.6432  2 N 1.76
Ni 0.5000 0.2771 0.9110  2 N 1.76
Ni 0.5000 0.9110 0.2771  2 N 1.76
N 0.0000 0.2763 0.9121  2 Ni 1.76
N 0.0000 0.6399 0.6399  2 Li 1.76
N 0.0000 0.9121 0.2763  2 Ni 1.76

Output
- E_tot: -0.17286 Ha/atom
- Space-group type: Amm2 (38)
- Energy of formation: -0.44 eV/atom

No. 2
A plane-wave DFT calculation with PBE was carried out for a relaxed Sr3Li3Ni4N4 crystal.

abc: 9.3364 9.3364 9.3364
angles: 154.93 135.57 51.69
Last column: nearest neighbours and their distance in Å.
Fractional positions:
Sr 0.0000 0.0000 0.0000  4 N 2.82
Sr 0.2182 0.2182 0.0000  3 N 2.65-2.71
Sr 0.7818 0.7818 0.0000  3 N 2.65-2.71
Li 0.3841 0.8841 0.5000  2 N 2.03
Li 0.5000 0.5000 0.0000  2 N 2.03
Li 0.6159 0.1159 0.5000  2 N 2.03
Ni 0.1303 0.3803 0.7500  2 N 1.76-1.77
Ni 0.3698 0.6197 0.7500  2 N 1.76-1.77
Ni 0.6302 0.3803 0.2500  2 N 1.76-1.77
Ni 0.8697 0.6197 0.2500  2 N 1.76-1.77
N 0.1164 0.6164 0.5000  2 Ni 1.77
N 0.3795 0.3795 0.0000  2 Ni 1.76
N 0.6205 0.6205 0.0000  2 Ni 1.76
N 0.8836 0.3836 0.5000  2 Ni 1.77

Output
- E_tot: -0.19522 Ha/atom
- Space-group type: Immm (71)
- Energy of formation: -0.61 eV/atom

No. 3
A plane-wave DFT calculation with PBE was carried out for a relaxed Sr10Li24NiN15 crystal.

abc: 52.0445 52.0445 3.9168
angles: 90.00 90.00 175.85
Last column: nearest neighbours and their distance in Å.
Fractional positions:
Sr 0.0176 0.9824 0.0000  4 N 2.63-2.68, 1 Li 2.79
Sr 0.1828 0.8172 0.0000  4 N 2.65-2.66, 1 Li 2.82
Sr 0.2172 0.7828 0.0000  4 N 2.65, 1 Li 2.82
Sr 0.3828 0.6172 0.0000  4 N 2.65, 1 Li 2.82
Sr 0.4172 0.5828 0.0000  4 N 2.65-2.66, 1 Li 2.82
Sr 0.5828 0.4172 0.0000  4 N 2.65-2.66, 1 Li 2.82
Sr 0.6172 0.3828 0.0000  4 N 2.65, 1 Li 2.82
Sr 0.7828 0.2172 0.0000  4 N 2.65, 1 Li 2.82
Sr 0.8172 0.1828 0.0000  4 N 2.65-2.66, 1 Li 2.82
Sr 0.9824 0.0176 0.0000  4 N 2.63-2.68, 1 Li 2.79
Li 0.0444 0.9556 0.0000  3 N 2.11-2.13, 2 Li 2.22
Li 0.0639 0.9361 0.5000  2 N 1.96
Li 0.1000 0.9000 0.5000  2 N 1.89
Li 0.1361 0.8639 0.5000  2 N 1.96
Li 0.1557 0.8443 0.0000  3 N 2.12-2.14, 2 Li 2.23
Li 0.2443 0.7557 0.0000  3 N 2.11-2.14, 2 Li 2.23
Li 0.2639 0.7361 0.5000  2 N 1.96
Li 0.3000 0.7000 0.5000  2 N 1.89
Li 0.3361 0.6639 0.5000  2 N 1.96
Li 0.3557 0.6443 0.0000  3 N 2.11-2.14, 2 Li 2.23
Li 0.4443 0.5557 0.0000  3 N 2.12, 2 Li 2.22
Li 0.4640 0.5360 0.5000  2 N 1.96
Li 0.5360 0.4640 0.5000  2 N 1.96
Li 0.5557 0.4443 0.0000  3 N 2.12, 2 Li 2.22
Li 0.6443 0.3557 0.0000  3 N 2.11-2.14, 2 Li 2.23
Li 0.6639 0.3361 0.5000  2 N 1.96
Li 0.7000 0.3000 0.5000  2 N 1.89
Li 0.7361 0.2639 0.5000  2 N 1.96
└──
As soon as I arrived, I set the three lines and began searching for pike & walleye. It seemed like forever before we had our first reel go off but in actuality, I think it was only 5 minutes. I have been so spoiled lately that some days I have a hard time getting the second rod in before the first reel fires!
Jason was into his first fish ever and eventually it made it into the net. He was officially hooked for life! A few quick pics later we resumed the troll, looking for more. Although a little slower than I had hoped, the weather was seeming to hold off pretty good. We did hear one clap of thunder in the distance that had me a little nervous but that was it. I had purposely left my rain gear on so as not to jinx us and apparently it worked. We stayed dry and soon the sun even came out allowing me to remove all the extra clothing, safely!
Back to the task at hand and I had Jason locked up again several more times in the next couple of hours. Most of the fish were northerns but he did manage to land and lose a couple of walleye. The fish were biting a little strange with the weather being so nice and either short striking the baits or just falling off completely in the net. We had flat calm water and were now in bright sunshine forcing me to raise the roof for some shade. It was back to being scorching hot and the no wind thing wasn’t helping either!
Brett had decided that they would be calling it a little early so for the remainder of the day, I focussed my attention on one little area that was producing. Jason was catching fish and I wasn’t going to leave until we were done!
With double digits having been landed by the little guy, he was all smiles as I packed everything up and readied the boat to leave. It was just after 3:00 and they were scheduled to be somewhere by 3:30. We were done!
Back at the dock, they decided that the walleye in the livewell would get a chance to live. They had planned on keeping it for dinner but really didn’t have the time needed. This was one lucky fish as I really didn’t want to clean it either. They released it back to fight another day!
Today was another great day filled with plenty of fish once again. It was even better because I got to see two young kids enjoy themselves doing something they love. It sort of reminded me of when I was their age and spent time pursuing my passion. With any luck they will continue theirs as well and carry it on into the next generation. Another great day on the water!!
Italy RocksAugust 15, 2018
August 14th 2018
Another group of four enjoyed their day on the water again today, filled with lots of action. Two were local but the other two were in from Italy. I was about to get a lesson in another language that I didn’t really understand. Oh well, it would give me plenty of time to focus on the fishing!
I had opted to troll once more with this many bodies in the boat and got the lines in quickly, once we arrived. Well it didn’t take long before two reels fired and we were off to the races! Their Italian guests were into their first Canadian pike, but it wouldn’t be their last. Throughout the morning everyone would have their fair share of these toothy critters. Along with them, there would also be several decent keeper walleye and a few overs too. One of them even landed a pretty good smallie that somehow moved into the pike & walleye area to feed.
The morning passed by quickly with John feeding everyone in the boat. He even made espresso coffee for them several times with his portable burner and special pot. We were like a travelling restaurant on the water!
At one point in the morning I was forced to raise the top with the drizzle we had gotten and was glad to have done so. Eventually it came down a little harder, but everyone stayed dry! When it did pass though, the sun came out and it became a scorcher, so the cover was a welcomed addition for two reasons.
All the while reels were going off constantly and numbers of fish were seeing the net. Well most of them were as one of the Italian guests released many before they reached the boat. I don’t think he understood the concept of Catch & Release! Either way, plenty of fish were still caught by everyone.
**Between two parts of the article: materials data**
- - -
# 1
This record from the Materials Project describes a relaxed structure of Co4IrN4. The functional is PBE-GGA.

a = 4.7336 Å, b = 5.0090 Å, c = 7.8867 Å
α = 72.02°, β = 84.63°, γ = 80.67°
Last column: nearest neighbours and their distance in Å.
Atoms (fractional coordinates):
Co: 0.2180 0.1528 0.3643  4 N 1.91-2.03
Co: 0.2202 0.3422 0.9321  3 N 1.84-1.88
Co: 0.2337 0.7231 0.2132  4 N 1.81-2.02
Co: 0.2544 0.4632 0.5597  3 N 1.85-1.97
Co: 0.7456 0.5368 0.4403  3 N 1.85-1.97
Co: 0.7663 0.2769 0.7868  4 N 1.81-2.02
Co: 0.7798 0.6578 0.0679  3 N 1.84-1.88
Co: 0.7820 0.8472 0.6357  4 N 1.91-2.03
Ir: 0.2635 0.9367 0.7599  4 N 2.02-2.19
Ir: 0.7365 0.0633 0.2401  4 N 2.02-2.19
N: 0.0122 0.8068 0.4271  5 Co 1.93-2.03, 1 Ir 2.04
N: 0.1682 0.6727 0.0032  3 Co 1.81-1.88, 1 Ir 2.02
N: 0.3474 0.0873 0.1425  3 Co 1.84-1.91, 1 Ir 2.03
N: 0.4899 0.4110 0.3283  3 Co 1.85-1.91
N: 0.5101 0.5890 0.6717  3 Co 1.85-1.91
N: 0.6526 0.9127 0.8575  3 Co 1.84-1.91, 1 Ir 2.03
N: 0.8318 0.3273 0.9968  3 Co 1.81-1.88, 1 Ir 2.02
N: 0.9878 0.1932 0.5729  5 Co 1.93-2.03, 1 Ir 2.04

Properties
- Formation energy from the elements: 2.1 eV per formula unit
- E (MP2020): -7.62 eV per atom
- E: -7.457 eV/atom

=====

# 2
This record from the Materials Project describes a relaxed structure of Er3Cu4Sn4. The functional is PBE-GGA.

a = 8.3953 Å, b = 8.3953 Å, c = 8.3953 Å
α = 149.19°, β = 131.22°, γ = 58.82°
Last column: nearest neighbours and their distance in Å.
Atoms (fractional coordinates):
Er: 0.0000 0.0000 0.0000  6 Sn 3.03-3.16
Er: 0.3689 0.8689 0.5000  6 Cu 3.16, 6 Sn 3.16-3.26
Er: 0.6311 0.1311 0.5000  6 Cu 3.16, 6 Sn 3.16-3.26
Cu: 0.0169 0.3280 0.6889  1 Cu 2.62, 4 Sn 2.62-2.71
Cu: 0.3609 0.6720 0.6889  1 Cu 2.62, 4 Sn 2.62-2.71
Cu: 0.6391 0.3280 0.3111  1 Cu 2.62, 4 Sn 2.62-2.71
Cu: 0.9831 0.6720 0.3111  1 Cu 2.62, 4 Sn 2.62-2.71
Sn: 0.2157 0.2157 0.0000  6 Cu 2.66-2.71
Sn: 0.2965 0.5000 0.7965  2 Cu 2.62, 1 Sn 2.82
Sn: 0.7035 0.5000 0.2035  2 Cu 2.62, 1 Sn 2.82
Sn: 0.7843 0.7843 0.0000  6 Cu 2.66-2.71

Properties
- Formation energy from the elements: -5.4 eV per formula unit
- E: -4.681 eV/atom

=====

# 3
This record from the Materials Project describes a relaxed structure of Sb5IO7. The functional is PBE-GGA.

a = 6.9474 Å, b = 6.9474 Å, c = 12.9769 Å
α = 90.00°, β = 90.00°, γ = 120.00°
Last column: nearest neighbours and their distance in Å.
Atoms (fractional coordinates):
Sb: 0.0393 0.3603 0.2500  3 O 1.99-2.09
Sb: 0.3210 0.9607 0.2500  3 O 1.99-2.09
Sb: 0.3333 0.6667 0.5536  3 O 2.01
Sb: 0.3333 0.6667 0.9464  3 O 2.01
Sb: 0.3603 0.0393 0.7500  3 O 1.99-2.09
Sb: 0.6397 0.6790 0.2500  3 O 1.99-2.09
Sb: 0.6667 0.3333 0.0536  3 O 2.01
Sb: 0.6667 0.3333 0.4464  3 O 2.01
Sb: 0.6790 0.6397 0.7500  3 O 1.99-2.09
Sb: 0.9607 0.3210 0.7500  3 O 1.99-2.09
I: 0.0000 0.0000 0.0000  12 O 3.81-4.07, 12 Sb 4.02-4.07
I: 0.0000 0.0000 0.5000  12 O 3.81-4.07, 12 Sb 4.02-4.07
O: 0.0574 0.5503 0.6402  2 Sb 1.99-2.01
O: 0.0574 0.5503 0.8598  2 Sb 1.99-2.01
O: 0.3333 0.6667 0.2500  3 Sb 2.09
- - -
Eventually in the mid afternoon sunshine, things slowed down as usual and I decided to change it up some. We were going to go for smallies and I packed up the trolling gear and pulled out the lighter rods for them to cast. They were really looking forward to getting into some bass on soft plastics as we ran to the next spot to fish.
I decided to give them an example of how to fish these baits and as usual, had one on the first cast. Unfortunately it came off before I could get it to the boat! Once these guys got started it was one miss after the other. Everyone lost at least two or three fish before they slowed down on the hookset. I think John had the first fish up front and it started the ball rolling. By the time it was all said and done, they had landed over a dozen fish from this one small area and missed many more than that too!
These guys had experienced what everyone else has lately and landed plenty of fish. They all had slams as well with the pike, walleye and bass they caught. This was a great day all around and catered by John with the amount of food he had brought. Nobody went hungry as I think he fed them every couple of hours! The espresso coffee they had was also a new thing in the boat for me. I’m just glad I didn’t have any as I’m already wired most days anyway! All in all this was a very successful day on the water and everyone left totally satisfied. Just another great day of fishing!!
A Surprise TripAugust 14, 2018
August 13th 2018
Another day filled with great number of pike and walleye and an unexpected, exotic species! Kajal had wanted to do something special for her fiancé and booked a surprise fishing trip with me several weeks back. She didn’t even tell him where they were going this morning until they met me at the dock. They were both in for a great day!
With the trolling bite so good lately, I wasted no time setting the lines and getting started. I quickly instructed them on what to expect and it didn’t take long. Within 5 minutes we had three pike landed and I knew there would be plenty more!
I covered water looking for the big walleye but up until now, all we had were numbers of northerns. Throughout the morning we never went long between pike and once the clouds rolled in, things started to change. We had only sunshine and now with the overcast, the walleye began to bite. It’s crazy how one little change can affect the fishing!
They had wanted to take a few walleye back with them and we had no trouble catching their dinner. In fact, they also threw a few back, both overs as well as keepers!
I was covering all depths of water and decided to try a little shallower with the darkened skies when one of the reels just screamed. Kajal grabbed the rod and we all saw the fish take to the air in a spectacular leap. It was a huge bowfin and battled her right to the boat. These things are mean and it really didn’t like the boga in its mouth! It made for a great pic and she also had her slam for the day. It’s always nice when you get into the exotic species while fishing for something else!
The afternoon was nonstop as well and we were quite comfortable under the roof in this heat. The sun was in and out of the clouds but by late afternoon, just out. With very little wind it would have been hell if we didn’t have some sort of shade to fish under.
This was another day loaded with all kinds of fish and I was happy to share it with them. They had both caught tons of northerns as well as some really nice walleye and couldn’t have asked for more. Well more was what they got when I invited them to a local restaurant to eat some of their catch. They gladly accepted the invitation and we soon prepped to leave. Several fish later we were on our way back to the dock to take out. They would be coming back with me and I was going to filet the fish before going out to eat.
Seeing as how there were three walleye to clean, I decided to keep one aside for them as well. They didn’t need all of them tonight and would be able to enjoy a meal on their own where they were staying.
Good times, good company and great fishing was what we had today! The restaurant was just the icing on the cake, so to speak. In fact they even had a complimentary desert for their recent engagement. I don’t think they could ever have imagined such a fantastic day, when they woke up this morning. Right from the start to the very end it was just filled with all kinds of great memories. They will be leaving Montreal fulfilled and not just from all the food they ate tonight!!
A Great Family OutingAugust 13, 2018
August 12th 2018
Another full boat once again today with two Bob’s, Dave & Kevin. They were from Ontario and hoping to get into some pickerel. AKA walleye, for those of you that aren’t familiar with how they say it over there! I was sure they wouldn’t be disappointed!
Our first couple of areas were a little slow as there was only one fish and it came off while reeling in. It didn’t really matter as it was a pike anyway and not what they were looking for! I had hit some new places that should have been holding fish, but for some reason this year, they weren’t. Not to waste too much more time, I pulled the plug and headed to where I knew they would catch.
Almost immediately after arriving, they were into fish with a few northerns coming aboard quickly. Uncle Dave was having the time of his life bringing in some of them and soon after, he captured the first pickerel of the day. This got the ball rolling because there was another one right after that came in as well. We were on the fish and I was going to make sure that they were able to take some of them back with them today!
Throughout the morning there were many pike brought to net but there were also a good number of walleye landed as well, Some of them made their way into the livewell and some of them had to be released due to their size. It seemed like whenever they caught one, another pickerel came right behind. We were picking at them pretty good but then it just stopped. All we were able to catch for a while were pike and I knew why. The water had gone flat calm and we were in bright sunshine. It became so hot that I was forced to raise the roof just to get some shade!
Fish after fish were coming aboard, but only pike in these conditions. I could see in the distance wind starting to create a chop on the water and it was coming our way. It was almost like someone hit a switch when it arrived, as one of the reels fired. A good sized walleye was brought to net but had to be released due to its size. While taking the pics, Bob noticed one of the other rods bent and immediately was into an even bigger walleye. It was technically a double as the first fish was still in the boat! It’s amazing what a little wind can do!
The afternoon also saw a mix of fish landed with most of them being northerns. Whenever the clouds rolled in, we would get a few more walleye to bite, but sunshine was upon us most of the day. Very late in the afternoon however, bob grabbed one of the rods when he noticed the bend and was tight to a pretty good fish. As I looked behind the boat I realized that it wasn’t what we were used to seeing, but much larger. He had a big musky on and the chaos began! I immediately had all the other lines cleared and was about to drop the roof making it easier to manage when all of a sudden, he reeled in a walleye. We had both seen the size of the fish he was hooked into and weren’t imagining it. I netted the pickerel and proof was had! This fish had all kinds of lacerations on it but was lucky. It would get to live and wasn’t dinner for either the musky or them. It was way over the slot and almost a good meal for old toothy!
We fished a little longer and eventually after a few more fish, pulled the lines and headed to the ramp. It was 3:30 and they had a long drive to Ottawa and were quite satisfied with their day. Although that last fish would have been nice to land, it did make for a great story for everyone! They were also taking a good number of walleye back and had all enjoyed catching them too. This was a great family day and a nice way to unwind while fishing for pickerel. The numbers of fish they landed today were unknown as nobody kept count. All I know is that I used that net countless times so there were high numbers of fish landed, once again! Another great day for fishing!!
Keepers GaloreAugust 12, 2018
August 11th 2018
With a group of 7 people scheduled today, I required a second boat to accommodate everyone. Don was happy to assist and together we were able to take them out for a great day of fishing. We would be splitting up and fishing for a variety of species, on different parts of the water and I hoped the fish would bite!
Sergio had planned this trip a while back and I had the pleasure of his company, along with some of his family. Together they would be in for the time of their lives as we trolled for pike & walleye. These were a couple of species none of them had ever caught before and I knew they would have a blast landing big numbers of them.
Throughout the morning there were plenty of reels firing allowing many rotations by everyone. Although most of the fish were pike, there were also several good walleye brought aboard, with some of them going into the well for their dinner. They were a big group here in Montreal and hoping to taste some of the fish from our waters. I knew this wouldn’t be a problem and kept a few pike as well.
The day was going by quickly and before we knew it, noon was getting near. The other group of 3 in Don’s boat had left so fast that they hadn’t taken any food with them. We had all the lunches and they would be forced to meet us if they wanted to eat. We all shared a few stories and many laughs while eating before getting back to the afternoon fishing. It actually worked out pretty good as they would fish nearby for bass afterwards.
With the sun high I knew that the fishing would be a little tougher and focussed on a little deeper water in order to get bit. It didn’t take long after I reset the lines before we had the first pike! The other boat was still in sight as they reeled in the northern! From this point on, the fishing would continue to produce many more strikes, with most being keepers. We even had one pike later in the day that decided to grab two lines simultaneously, eating both baits. Talk about being a pig!
With the day winding down and the fishing becoming slower, I covered much more water in order to get the bites. They still managed to land plenty of fish but only one of them was a walleye and all the others were pike. We were scheduled to meet back at the dock by 4:00 and shortly before, I pulled the lines for the run.
Today was one filled with many fish but for some reason we never really had a peak period. Although I picked at them steadily, I never saw any major activity. Usually there is at least one time during the day where everything goes crazy and chaos occurs. Despite the lack of this, they still landed incredible numbers of both pike & walleye and had enough fish for their dinner tonight. Don’s group had remained on bass and enjoyed a similar one filled with plenty of action too. Overall I don’t think we could have had a better day with fairly light boat traffic on the water and cooperative fish. The weather was picture perfect as well with cool temps in the morning and highs in the afternoon in the 80’s. This was a comfortable day for them, being from Vegas, where they had 115 degrees the day they left. Thankfully only the fishing was hot here today!!